# Entries
<<<
Here is a relaxed structure of YCrSe4 from Alexandria via LeMat-Bulk. Energies are from PBE-GGA.

a b c (Å): 8.176 8.176 8.176
angles (deg): 90.00 90.00 90.00
Space group F-43m (No. 216)
Unique sites:
Y1 0.000 0.000 0.000 x4
Cr1 0.250 0.250 0.750 x4
Se1 0.125 0.125 0.375 x16

magnetic moment = 21.4 μB per cell
total energy = -4.77 eV per atom
volume = 22.8 Å³/atom

Here is a relaxed structure of TmSc3Co2 from Alexandria via LeMat-Bulk. Energies are from PBE-GGA.

a b c (Å): 14.316 4.625 7.534
angles (deg): 90.00 112.59 90.00
Space group C2/m (No. 12)
Unique sites:
Tm1 0.132 0.000 0.217 x4
Sc1 0.069 0.000 0.728 x4
Sc2 0.129 0.500 0.513 x4
Sc3 0.184 0.500 0.982 x4
Co1 0.002 0.500 0.156 x4
Co2 0.229 0.000 0.636 x4

magnetic moment = 0.0 μB per cell
ΔH_f (0 K) = -181 meV/atom
total energy = -6.46 eV per atom
volume = 19.2 Å³/atom

Here is a relaxed structure of Mg4Hg2Sb from Alexandria via LeMat-Bulk. Energies are from PBE-GGA.

a b c (Å): 7.126 7.126 6.668
angles (deg): 90.00 90.00 90.00
Space group I4/mmm (No. 139)
Unique sites:
Mg1 0.250 0.250 0.250 x8
Hg1 0.000 0.500 0.000 x4
Sb1 0.000 0.000 0.000 x2

magnetic moment = 0.0 μB per cell
total energy = -1.74 eV per atom
volume = 24.2 Å³/atom

Here is a relaxed structure of MgTiN from Alexandria via LeMat-Bulk. Energies are from PBE-GGA.

a b c (Å): 10.036 3.099 5.336
angles (deg): 90.00 100.21 90.00
Space group C2/m (No. 12)
Unique sites:
Mg1 0.124 0.000 0.372 x4
Ti1 0.136 0.500 0.889 x4
N1 0.231 0.000 0.761 x4

magnetic moment = 0.0 μB per cell
total energy = -6.75 eV per atom
volume = 13.6 Å³/atom

Here is a relaxed structure of Sr2LiAl3Ga4 from Alexandria via LeMat-Bulk. Energies are from PBE-GGA.

a b c (Å): 4.431 4.431 11.087
angles (deg): 90.00 90.00 90.00
Space group P-4m2 (No. 115)
Unique sites:
Sr1 0.000 0.500 0.248 x2
Li1 0.000 0.000 0.500 x1
Al1 0.000 0.500 0.865 x2
Al2 0.500 0.500 0.500 x1
Ga1 0.000 0.000 0.000 x1
Ga2 0.000 0.500 0.633 x2
Ga3 0.500 0.500 0.000 x1

magnetic moment = 0.0 μB per cell
ΔH_f (0 K) = -360 meV/atom
total energy = -3.22 eV per atom
volume = 21.8 Å³/atom

Here is a relaxed structure of TbCe2SmSb5 from Alexandria via LeMat-Bulk. Energies are from PBE-GGA.

a b c (Å): 5.316 5.316 11.687
angles (deg): 90.00 90.00 90.00
Space group P4/mmm (No. 123)
Unique sites:
Tb1 0.000 0.000 0.000 x1
Ce1 0.500 0.500 0.214 x2
Sm1 0.000 0.000 0.500 x1
Sb1 0.000 0.000 0.251 x2
Sb2 0.000 0.500 0.000 x2
Sb3 0.500 0.500 0.500 x1

magnetic moment = 1.7 μB per cell
total energy = -4.93 eV per atom
volume = 36.7 Å³/atom

Here is a relaxed structure of LiPm2Hg2 from Alexandria via LeMat-Bulk. Energies are from PBE-GGA.

a b c (Å): 6.584 13.273 6.263
angles (deg): 90.00 90.00 90.00
Space group Ibam (No. 72)
Unique sites:
Li1 0.000 0.000 0.250 x4
Pm1 0.189 0.352 0.000 x8
Hg1 0.215 0.117 0.000 x8

magnetic moment = 0.0 μB per cell
ΔH_f (0 K) = -253 meV/atom
total energy = -2.66 eV per atom
volume = 27.4 Å³/atom

Here is a relaxed structure of ZnP3H12 from Alexandria via LeMat-Bulk. Energies are from PBE-GGA.

a b c (Å): 9.1723 9.1723 20.7580
angles (deg): 90.00 90.00 120.00
Space group R3c (No. 161, hexagonal axes)
Unique sites:
Zn1 0.0000 0.0000 0.0000 x6
P1 0.1573 0.3543 0.2916 x18
H1 0.0253 0.2742 0.2261 x18
H2 0.0333 0.4039 0.4291 x18
H3 0.0550 0.1968 0.3232 x18
H4 0.1272 0.4160 0.8573 x18

magnetic moment = 0.0 μB per cell
total energy = -3.44 eV per atom
volume = 15.8 Å³/atom

Here is a relaxed structure of Sm2MnTl3Te6 from Alexandria via LeMat-Bulk. Energies are from PBE-GGA.

a b c (Å): 7.669 13.249 8.413
angles (deg): 90.00 108.02 90.00
Space group C2/m (No. 12)
Unique sites:
Sm1 0.000 0.164 0.000 x4
Mn1 0.000 0.500 0.000 x2
Tl1 0.000 0.000 0.500 x2
Tl2 0.000 0.321 0.500 x4
Te1 0.221 0.346 0.206 x8
Te2 0.239 0.500 0.778 x4

magnetic moment = 8.5 μB per cell
total energy = -4.45 eV per atom
volume = 33.9 Å³/atom

Here is a relaxed structure of CsYMg6 from Alexandria via LeMat-Bulk. Energies are from PBE-GGA.

a b c (Å): 5.475 7.336 11.670
>>>
# Brief
Reproduce the part of the listing above that starts with the line with "-1.74 eV" and stops after the one with "0.0000 0.0000".
# Here it is
total energy = -1.74 eV per atom
volume = 24.2 Å³/atom

Here is a relaxed structure of MgTiN from Alexandria via LeMat-Bulk. Energies are from PBE-GGA.

a b c (Å): 10.036 3.099 5.336
angles (deg): 90.00 100.21 90.00
Space group C2/m (No. 12)
Unique sites:
Mg1 0.124 0.000 0.372 x4
Ti1 0.136 0.500 0.889 x4
N1 0.231 0.000 0.761 x4

magnetic moment = 0.0 μB per cell
total energy = -6.75 eV per atom
volume = 13.6 Å³/atom

Here is a relaxed structure of Sr2LiAl3Ga4 from Alexandria via LeMat-Bulk. Energies are from PBE-GGA.

a b c (Å): 4.431 4.431 11.087
angles (deg): 90.00 90.00 90.00
Space group P-4m2 (No. 115)
Unique sites:
Sr1 0.000 0.500 0.248 x2
Li1 0.000 0.000 0.500 x1
Al1 0.000 0.500 0.865 x2
Al2 0.500 0.500 0.500 x1
Ga1 0.000 0.000 0.000 x1
Ga2 0.000 0.500 0.633 x2
Ga3 0.500 0.500 0.000 x1

magnetic moment = 0.0 μB per cell
ΔH_f (0 K) = -360 meV/atom
total energy = -3.22 eV per atom
volume = 21.8 Å³/atom

Here is a relaxed structure of TbCe2SmSb5 from Alexandria via LeMat-Bulk. Energies are from PBE-GGA.

a b c (Å): 5.316 5.316 11.687
angles (deg): 90.00 90.00 90.00
Space group P4/mmm (No. 123)
Unique sites:
Tb1 0.000 0.000 0.000 x1
Ce1 0.500 0.500 0.214 x2
Sm1 0.000 0.000 0.500 x1
Sb1 0.000 0.000 0.251 x2
Sb2 0.000 0.500 0.000 x2
Sb3 0.500 0.500 0.500 x1

magnetic moment = 1.7 μB per cell
total energy = -4.93 eV per atom
volume = 36.7 Å³/atom

Here is a relaxed structure of LiPm2Hg2 from Alexandria via LeMat-Bulk. Energies are from PBE-GGA.

a b c (Å): 6.584 13.273 6.263
angles (deg): 90.00 90.00 90.00
Space group Ibam (No. 72)
Unique sites:
Li1 0.000 0.000 0.250 x4
Pm1 0.189 0.352 0.000 x8
Hg1 0.215 0.117 0.000 x8

magnetic moment = 0.0 μB per cell
ΔH_f (0 K) = -253 meV/atom
total energy = -2.66 eV per atom
volume = 27.4 Å³/atom

Here is a relaxed structure of ZnP3H12 from Alexandria via LeMat-Bulk. Energies are from PBE-GGA.

a b c (Å): 9.1723 9.1723 20.7580
angles (deg): 90.00 90.00 120.00
Space group R3c (No. 161, hexagonal axes)
Unique sites:
Zn1 0.0000 0.0000 0.0000 x6